Edge of 30
By Lindsay Steele
== What comes next are records of crystals, not part of the piece ==
<<<
(1)
# USb2P2Rh7
Computed powder X-ray diffraction pattern, a wavelength of 1.5418 Å. Input: a DFT-relaxed cell (GGA-PBE, Alexandria).
Lines closer than 0.1° are merged.

Crystal structure
Unit cell a=5.4834 b=5.4831 c=14.9178 alpha=90.00 beta=100.54 gamma=90.00
Space group C2/m (No. 12)
Asymmetric unit:
U  0.0000  0.0000  0.0000 x2
Sb  0.2112  0.0000  0.4243 x4
P  0.1154  0.5000  0.2321 x4
Rh  0.0000  0.5000  0.0000 x2
Rh  0.1792  0.2501  0.8570 x8
Rh  0.1946  0.5000  0.3890 x4

Principal peaks in the range 10 to 90 degrees two-theta, low angle first:
2θ (°)  I/Imax  (hkl)
12.1  78  0 0 2
30.5  32  0 0 5
32.7  23  0 2 0
34.9  62  2 0 -3
37.6  100  2 0 2
41.1  34  2 0 -5
43.2  24  0 0 7
45.3  69  2 0 4
46.9  73  2 2 -1
65.6  28  2 2 -8
68.4  23  0 4 0
85.9  22  4 2 3

(2)
# La2CuBi2
Computed powder X-ray diffraction pattern, a wavelength of 1.5418 Å. Input: a DFT-relaxed cell (GGA-PBE, Alexandria).
Lines closer than 0.1° are merged.

Crystal structure
Unit cell a=8.2780 b=8.2780 c=4.6951 alpha=90.00 beta=90.00 gamma=90.00
Space group P4/mbm (No. 127)
Asymmetric unit:
La  0.1741  0.3259  0.0000 x4
Cu  0.0000  0.0000  0.0000 x2
Bi  0.1345  0.6345  0.5000 x4

Principal peaks in the range 10 to 90 degrees two-theta, low angle first:
2θ (°)  I/Imax  (hkl)
15.1  15  1 1 0
24.3  13  1 1 1
30.8  100  2 1 1
34.3  26  3 1 0
38.3  16  0 0 2
39.2  7  3 2 0
46.5  7  3 3 0
48.0  8  4 0 1
49.4  10  4 1 1
52.3  16  3 1 2
63.7  14  5 2 1
64.7  12  2 1 3

(3)
# SrMg3GeN4
Computed powder X-ray diffraction pattern, a wavelength of 1.5418 Å. Input: a DFT-relaxed cell (GGA-PBE, Alexandria).
Lines closer than 0.1° are merged.

Crystal structure
Unit cell a=11.8994 b=3.3829 c=8.4663 alpha=90.00 beta=134.47 gamma=90.00
Space group Cm (No. 8)
Asymmetric unit:
Sr  0.0000  0.0000  0.0000 x2
Mg  0.1375  0.5000  0.4474 x2
Mg  0.1895  0.0000  0.8124 x2
Mg  0.3311  0.5000  0.1781 x2
Ge  0.3771  0.0000  0.5690 x2
N  0.0899  0.5000  0.8204 x2
N  0.2601  0.0000  0.6450 x2
N  0.2973  0.5000  0.3902 x2
N  0.4133  0.0000  0.1435 x2

Principal peaks in the range 10 to 90 degrees two-theta, low angle first:
2θ (°)  I/Imax  (hkl)
14.9  53  2 0 -1
20.9  23  2 0 0
28.4  26  1 1 -1
29.6  19  0 0 2
33.3  51  2 0 -3
33.6  55  4 0 -1
35.5  100  1 1 1
35.7  85  3 1 -2
47.6  19  2 0 2
48.3  25  6 0 -4
54.2  19  0 2 0
60.7  25  1 1 -4

(4)
# Nb2V3W6
Computed powder X-ray diffraction pattern, a wavelength of 1.5418 Å. Input: a DFT-relaxed cell (GGA-PBE, Alexandria).
Lines closer than 0.1° are merged.

Crystal structure
Unit cell a=28.3886 b=4.4365 c=2.7651 alpha=90.00 beta=93.69 gamma=90.00
Space group C2/m (No. 12)
Asymmetric unit:
Nb  0.0463  0.0000  0.3639 x4
V  0.0000  0.5000  0.0000 x2
V  0.1833  0.5000  0.4565 x4
W  0.0939  0.5000  0.7308 x4
W  0.1394  0.0000  0.0929 x4
W  0.2280  0.0000  0.8163 x4

Principal peaks in the range 10 to 90 degrees two-theta, low angle first:
2θ (°)  I/Imax  (hkl)
18.8  9  6 0 0
25.5  13  5 1 0
40.1  100  3 1 1
40.5  64  11 1 0
40.7  32  0 2 0
58.2  11  14 0 1
>>>
The Catholic Messenger
I remember going to a Mexican restaurant with my husband a couple years ago. The place was mostly empty, but the server sat us next to a family with young children. Irritated, I asked the server to move us to a quieter location. My husband, Chris, thought I was being rude. I thought I was being reasonable in my request.

When I look back on that now, I cringe. I can imagine how that family must have felt. I know my husband was horribly embarrassed.
While I didn’t make any New Year’s resolutions last year, the birth of my son, Bradley, was transformative nonetheless. Amidst the personal growth I experienced, I developed a compassion for parents and children that I really didn’t have before.
I’m ashamed to admit that I wasn’t keen on kids all that much until I had my own. I can’t explain why. Maybe it was less about their sometimes rowdy behavior and more about jealousy. These parents had children and I wasn’t sure if I could have any children of my own. I’d silently judge the parents and think, “If I had children, I’d be able to handle them better. I’d appreciate them more.”
But, whatever the reason, I now look at parents with a spirit of camaraderie. I know what they are going through. Sometimes kids are cheerful and calm in public but oftentimes they aren’t, and parents just have to ride it out and do the best they can. I know now that parents need encouragement, not judgment, when taking the kids outside the home.
I had an opportunity to put this new attitude into action on New Year’s Eve. Chris and I were getting ready to host a party in our home. The morning of the party, I received a text message from our friend Danielle. With disappointment — and a frowning emoji — she told me she and her husband had been unable to find a babysitter for their two toddlers. She resigned herself to staying home with them.
I didn’t want Danielle to miss out. I know what it’s like to be told I can’t go to a social gathering unless the kid stays home, and it’s frustrating. She had been looking forward to the get-together. Bradley was set to spend the night at my mother-in-law’s house, so I told Danielle she was welcome to bring the kids and use our nursery as needed. Her spirits rose, and she decided to take me up on the offer.
Unrelated to this entry: calculated crystals:
<<<
Record 1
This entry pairs a crystal structure of K3Np2TiSe6 with its theoretical powder XRD pattern. Radiation: Cu Ka. Structure: a PBE-relaxed structure.
No peak broadening, texture or thermal motion is included.

Largest 10 diffraction maxima, low angle first, 10° ≤ 2θ ≤ 90°:
2θ 11.49, I = 69.9
2θ 25.31, I = 14.1
2θ 29.47, I = 100.0
2θ 37.14, I = 23.0
2θ 40.21, I = 34.4
2θ 44.06, I = 34.5
2θ 45.68, I = 15.7
2θ 50.45, I = 13.3
2θ 53.90, I = 17.4
2θ 72.07, I = 14.1

Crystal structure
Lattice parameters (Å, degrees): 7.121 7.121 8.061 98.49 98.49 120.01
Atoms (fractional coordinates):
K  0.000  0.000  0.000
K  0.331  0.669  0.000
K  0.669  0.331  0.000
Np  0.166  0.834  0.500
Np  0.834  0.166  0.500
Ti  0.500  0.500  0.500
Se  0.117  0.433  0.299
Se  0.252  0.252  0.702
Se  0.433  0.117  0.299
Se  0.567  0.883  0.701
Se  0.748  0.748  0.298
Se  0.883  0.567  0.701

Record 2
This entry pairs a crystal structure of K2Tb2NpTe6 with its theoretical powder XRD pattern. Radiation: Cu Ka. Structure: a PBE-relaxed structure.
No peak broadening, texture or thermal motion is included.

Largest 10 diffraction maxima, low angle first, 10° ≤ 2θ ≤ 90°:
2θ 10.49, I = 100.0
2θ 23.40, I = 17.5
2θ 27.07, I = 47.2
2θ 27.17, I = 93.4
2θ 34.08, I = 23.9
2θ 36.76, I = 33.2
2θ 36.87, I = 16.8
2θ 40.64, I = 50.8
2θ 42.08, I = 22.4
2θ 49.53, I = 17.9

Crystal structure
Lattice parameters (Å, degrees): 7.689 7.689 8.826 98.48 98.48 119.95
Atoms (fractional coordinates):
K  0.168  0.832  0.000
K  0.832  0.168  0.000
Tb  0.333  0.667  0.500
Tb  0.667  0.333  0.500
Np  0.000  0.000  0.500
Te  0.072  0.399  0.707
Te  0.261  0.261  0.294
Te  0.399  0.072  0.707
Te  0.601  0.928  0.293
Te  0.739  0.739  0.706
Te  0.928  0.601  0.293

=====

Starting from a cell relaxed with GGA-PBE, the powder X-ray diffraction pattern of Li2Al2Si4HO14 was computed for Cu Kα X-rays.
Kinematic intensities with the Lorentz-polarization factor, no thermal factor.

Top 10 peaks for 10° ≤ 2θ ≤ 80°, in order of falling intensity:
- hkl 1 0 1, 21.0 deg, 4.230 Å, rel. 100
- hkl 0 2 0, 25.4 deg, 3.509 Å, rel. 68
- hkl 0 2 2, 26.1 deg, 3.418 Å, rel. 54
- hkl 2 0 0, 35.9 deg, 2.501 Å, rel. 43
- hkl 0 0 1, 11.2 deg, 7.925 Å, rel. 35
>>>
I’m not sure if I would have been open to it a year ago, but nobody minded the kids being there. The other guests brought some presents and goodies for the little ones so they’d have fun, too. We all pitched in when the kids got fussy later in the night.
The next day I received a wonderful compliment from my husband. “I liked how you went out of your way to make sure that everyone was having a good time,” he said. I knew my openness to Danielle’s children was a big part of that.
Children are blessings, and it’s too bad I had to wait until having my own to really grasp that fact. But I’m grateful that motherhood has taught me to open my heart to children and parents alike.
(Editor’s note: Lindsay Steele is a reporter for The Catholic Messenger. Contact her at steele@davenportdiocese.org or by phone at (563) 888-4248.)